nineteenth-century art

........
Here is a relaxed structure of Fe4P3O12 from Materials Project. Energies are from GGA+U.

Cell: 8.8533 8.8533 6.5625 Å, 106.87 106.87 92.77°
Closest atoms and distances in Å follow each position.
Positions (direct):
Fe (0.0032, 0.9968, 0.5000)  4 O 1.96-2.14
Fe (0.1421, 0.4296, 0.6234)  5 O 2.00-2.20
Fe (0.2510, 0.7420, 0.4930)  5 O 2.08-2.20
Fe (0.4296, 0.1421, 0.1234)  5 O 2.00-2.20
Fe (0.5556, 0.8643, 0.3577)  6 O 1.93-2.11
Fe (0.7420, 0.2510, 0.9930)  5 O 2.08-2.20
Fe (0.8643, 0.5556, 0.8577)  6 O 1.93-2.11
Fe (0.9968, 0.0032, 0.0000)  4 O 1.96-2.14
P (0.1369, 0.3754, 0.1088)  4 O 1.51-1.59
P (0.2052, 0.7842, 0.9920)  4 O 1.53-1.59
P (0.3754, 0.1369, 0.6088)  4 O 1.51-1.59
P (0.6267, 0.8405, 0.8693)  4 O 1.53-1.56
P (0.7842, 0.2052, 0.4920)  4 O 1.53-1.59
P (0.8405, 0.6267, 0.3693)  4 O 1.53-1.56
O (0.0264, 0.7631, 0.9919)  1 P 1.59
O (0.0737, 0.4597, 0.9275)  1 P 1.57
O (0.1679, 0.4988, 0.3446)  1 P 1.55
O (0.2215, 0.9637, 0.0021)  1 P 1.57
O (0.2297, 0.6776, 0.7774)  1 P 1.53
O (0.2380, 0.9994, 0.5681)  1 P 1.59
O (0.2846, 0.3044, 0.0803)  1 P 1.51
O (0.3044, 0.2846, 0.5803)  1 P 1.51
O (0.3187, 0.7571, 0.2045)  1 P 1.55
O (0.4597, 0.0737, 0.4275)  1 P 1.57
O (0.4988, 0.1679, 0.8446)  1 P 1.55
O (0.5056, 0.8255, 0.6347)  1 P 1.56
O (0.5418, 0.8862, 0.0509)  1 P 1.55
O (0.6776, 0.2297, 0.2774)  1 P 1.53
O (0.6828, 0.6935, 0.3595)  1 P 1.53
O (0.6935, 0.6828, 0.8595)  1 P 1.53
O (0.7571, 0.3187, 0.7045)  1 P 1.55
O (0.7631, 0.0264, 0.4919)  1 P 1.59
O (0.7643, 0.9788, 0.9275)  1 P 1.56
O (0.8255, 0.5056, 0.1347)  1 P 1.56
O (0.8862, 0.5418, 0.5509)  1 P 1.55
O (0.9637, 0.2215, 0.5021)  1 P 1.57
O (0.9788, 0.7643, 0.4275)  1 P 1.56
O (0.9994, 0.2380, 0.0681)  1 P 1.59

ΔE_f = -221 kJ/mol of atoms
excess energy over the best structure of this formula in the dataset = 0 meV per atom

Here is a relaxed structure of FeP2O7 from Materials Project. Energies are from GGA+U.

Cell: 8.7455 5.1527 13.6823 Å, 90.00 115.54 90.00°
Closest atoms and distances in Å follow each position.
Positions (direct):
Fe (0.2329, 0.2457, 0.4748)  6 O 1.99-2.02
Fe (0.2329, 0.2543, 0.9748)  6 O 1.99-2.02
Fe (0.7671, 0.7457, 0.0252)  6 O 1.99-2.02
Fe (0.7671, 0.7543, 0.5252)  6 O 1.99-2.02
P (0.1864, 0.7461, 0.1188)  4 O 1.52-1.61
P (0.1864, 0.7539, 0.6188)  4 O 1.52-1.61
P (0.3346, 0.7446, 0.3629)  4 O 1.53-1.60
P (0.3346, 0.7554, 0.8629)  4 O 1.53-1.60
P (0.6654, 0.2446, 0.1371)  4 O 1.53-1.60
P (0.6654, 0.2554, 0.6371)  4 O 1.53-1.60
P (0.8136, 0.2461, 0.3812)  4 O 1.52-1.61
P (0.8136, 0.2539, 0.8812)  4 O 1.52-1.61
O (0.0130, 0.6827, 0.6124)  1 P 1.53
O (0.0130, 0.8173, 0.1124)  1 P 1.53
O (0.1907, 0.0348, 0.5840)  1 P 1.53
O (0.1907, 0.4652, 0.0840)  1 P 1.53
O (0.2163, 0.5608, 0.8794)  1 P 1.53
O (0.2163, 0.9392, 0.3794)  1 P 1.53
O (0.2529, 0.5675, 0.5599)  1 P 1.52
O (0.2529, 0.9325, 0.0599)  1 P 1.52
O (0.2909, 0.0379, 0.8727)  1 P 1.53
O (0.2909, 0.4621, 0.3727)  1 P 1.53
O (0.3220, 0.7253, 0.7432)  2 P 1.60-1.61
O (0.3220, 0.7747, 0.2432)  2 P 1.60-1.61
........

Rococo through Impressionism

Someone pasted materials data at this point:
[1]
# CePt5

A relaxed CePt5 crystal (r2SCAN, the Materials Project).

## Properties
As for the density: 16.8 Mg/m³. The magnetization comes out at 0.5 Bohr magnetons per cell. The crystal system is hexagonal. The calculated total energy is -3.5895 Ry/atom. The volume is 18.37 Å³/atom.

Cell: 5.3685 5.3685 4.4171 Å, 90.00 90.00 120.00°
Element x y z (fractional)
Ce 0.0000 0.0000 0.0000
Pt 0.0000 0.5000 0.5000
Pt 0.3333 0.6667 0.0000
Pt 0.5000 0.0000 0.5000
Pt 0.5000 0.5000 0.5000
Pt 0.6667 0.3333 0.0000

***

[2]
# Ti5Mn7

A relaxed Ti5Mn7 crystal (r2SCAN, the Materials Project).

## Properties
As for the density: 5.9 Mg/m³. The magnetization comes out at 8.0 Bohr magnetons per cell. The crystal system is trigonal. The calculated total energy is -1.0384 Ry/atom. The volume is 14.67 Å³/atom.

Cell: 5.1227 5.1227 7.7439 Å, 90.00 90.00 120.00°
Element x y z (fractional)
Ti 0.0000 0.0000 0.0000
Ti 0.3333 0.6667 0.5607
Ti 0.3333 0.6667 0.9341
Ti 0.6667 0.3333 0.0659
Ti 0.6667 0.3333 0.4393
Mn 0.0000 0.0000 0.5000
Mn 0.1720 0.3441 0.2585
Mn 0.1720 0.8280 0.2585
Mn 0.3441 0.1720 0.7415
Mn 0.6559 0.8280 0.2585
Mn 0.8280 0.1720 0.7415
Mn 0.8280 0.6559 0.7415

***

[3]
# Ga3Ni20B6

A relaxed Ga3Ni20B6 crystal (r2SCAN, the Materials Project).

## Properties
As for the density: 8.5 Mg/m³. The magnetization comes out at 0.0 Bohr magnetons per cell. The crystal system is cubic. The calculated total energy is -0.8293 Ry/atom. The volume is 9.70 Å³/atom.

Cell: 7.3552 7.3552 7.3552 Å, 60.00 60.00 60.00°
Element x y z (fractional)
Ga 0.0000 0.0000 0.0000
Ga 0.2500 0.2500 0.2500
Ga 0.7500 0.7500 0.7500
Ni 0.0000 0.0000 0.3376
Ni 0.0000 0.0000 0.6624
Ni 0.0000 0.3376 0.0000
Ni 0.0000 0.3376 0.6624
Ni 0.0000 0.6624 0.0000
Ni 0.0000 0.6624 0.3376
Ni 0.1467 0.6178 0.6178
Ni 0.3376 0.0000 0.0000
Ni 0.3376 0.0000 0.6624
Ni 0.3376 0.6624 0.0000
Ni 0.3822 0.3822 0.3822
Ni 0.3822 0.3822 0.8533
Ni 0.3822 0.8533 0.3822
Ni 0.6178 0.1467 0.6178
Ni 0.6178 0.6178 0.1467
Ni 0.6178 0.6178 0.6178
Ni 0.6624 0.0000 0.0000
Ni 0.6624 0.0000 0.3376
Ni 0.6624 0.3376 0.0000
Ni 0.8533 0.3822 0.3822
B 0.2760 0.2760 0.7240
B 0.2760 0.7240 0.2760
B 0.2760 0.7240 0.7240
B 0.7240 0.2760 0.2760
B 0.7240 0.2760 0.7240
B 0.7240 0.7240 0.2760

***

[4]
# Sr2Mn2O5

A relaxed Sr2Mn2O5 crystal (r2SCAN, the Materials Project).

## Properties
As for the density: 5.3 Mg/m³. The magnetization comes out at 16.0 Bohr magnetons per cell. The crystal system is orthorhombic. The calculated total energy is -0.9260 Ry/atom. The volume is 12.68 Å³/atom.

Cell: 5.5266 10.8631 3.8014 Å, 90.00 90.00 90.00°
Element x y z (fractional)
Sr 0.2164 0.1334 0.0000
Sr 0.2836 0.6334 0.0000
Sr 0.7164 0.3666 0.0000
Sr 0.7836 0.8666 0.0000
Mn 0.2418 0.3761 0.5000
Mn 0.2582 0.8761 0.5000
Mn 0.7418 0.1239 0.5000
Mn 0.7582 0.6239 0.5000
O 0.0000 0.0000 0.5000
O 0.0249 0.7326 0.5000
O 0.2047 0.3984 0.0000
O 0.2953 0.8984 0.0000
O 0.4751 0.2326 0.5000
O 0.5000 0.5000 0.5000
O 0.5249 0.7674 0.5000
O 0.7047 0.1016 0.0000


This course covers European art from approximately 1760 through 1880.  By the end of the course, you should:

•   Have a thorough understanding of around 80 paradigm works of nineteenth-century European art, such as Kauffmann's Cornelia, Rowlandson’s Progress of Emperor Napoleon, Géricault’s Raft of the Medusa, Goya’s Third of May, 1808, Daumier’s Rue Transnonain, Friedrich’s Monk by the Sea, Manet’s Olympia, Gérôme’s Dance of the Almeh, Bastien-Lepage’s Joan of Arc, Monet’s Rouen Cathedral, and Cassatt’s Woman in Black at the Opera.

Between two parts of the text: data records:
____________
No. 1
# NdFe4B4 | Materials Project | PBE | optimized geometry
data_NdFe4B4
_chemical_formula_sum 'Nd2 Fe8 B8'
_symmetry_space_group_name_H-M 'P 42/n'
_symmetry_Int_Tables_number 86
_cell_length_a 7.0554
_cell_length_b 7.0554
_cell_length_c 3.8089
_cell_angle_alpha 90.00
_cell_angle_beta 90.00
_cell_angle_gamma 90.00
loop_
_symmetry_equiv_pos_as_xyz
'x,y,z'
'-x,-y,-z'
'-y,x+1/2,z+1/2'
'y,-x+1/2,-z+1/2'
'-x+1/2,-y+1/2,z'
'x+1/2,y+1/2,-z'
'y+1/2,-x,z+1/2'
'-y+1/2,x,-z+1/2'
loop_
_atom_site_label
_atom_site_fract_x
_atom_site_fract_y
_atom_site_fract_z
_atom_site_occupancy
Nd1 0.2500 0.2500 0.2500 1
Fe1 0.1180 0.8617 0.1426 1
B1 0.0483 0.5848 0.1444 1
# Total moment   1.85 μB/cell

No. 2
# H8PtO6 | Materials Project | PBE | optimized geometry
data_H8PtO6
_chemical_formula_sum 'H16 Pt2 O12'
_symmetry_space_group_name_H-M 'P 1'
_symmetry_Int_Tables_number 1
_cell_length_a 5.6115
_cell_length_b 5.7218
_cell_length_c 7.3541
_cell_angle_alpha 87.24
_cell_angle_beta 88.42
_cell_angle_gamma 81.51
loop_
_symmetry_equiv_pos_as_xyz
'x,y,z'
loop_
_atom_site_label
_atom_site_fract_x
_atom_site_fract_y
_atom_site_fract_z
_atom_site_occupancy
H1 0.0000 0.0000 0.0000 1
H2 0.0006 0.0033 0.3116 1
H3 0.0124 0.4280 0.1507 1
H4 0.1478 0.7937 0.7710 1
H5 0.2172 0.7108 0.3161 1
H6 0.2529 0.2156 0.4789 1
H7 0.2882 0.6615 0.5802 1
H8 0.2942 0.2832 0.1399 1
H9 0.3763 0.7538 0.0183 1
H10 0.5254 0.0678 0.8746 1
H11 0.5932 0.2412 0.2977 1
H12 0.6457 0.6589 0.9503 1
H13 0.6575 0.3647 0.7886 1
H14 0.7045 0.9565 0.5968 1
H15 0.7590 0.6178 0.6850 1
H16 0.9092 0.3995 0.3928 1
Pt1 0.1367 0.3270 0.7972 1
Pt2 0.6504 0.7914 0.2974 1
O1 0.0284 0.0150 0.8647 1
O2 0.0916 0.2505 0.5396 1
O3 0.1765 0.4029 0.0678 1
O4 0.2541 0.6434 0.7247 1
O5 0.3574 0.6531 0.3936 1
O6 0.4730 0.1297 0.3003 1
O7 0.4892 0.1933 0.7788 1
O8 0.5440 0.7839 0.0270 1
O9 0.7668 0.8005 0.5492 1
O10 0.7787 0.4902 0.8001 1
O11 0.8166 0.4513 0.2776 1
O12 0.9652 0.9035 0.2137 1
# Total moment   0.00 μB/cell
# E above lowest polymorph   0.0141 eV per atom
# Largest piezoelectric modulus   0.53 C/m2

No. 3
# NdTeBrO3 | Materials Project | PBE | optimized geometry
data_NdTeBrO3
_chemical_formula_sum 'Nd4 Te4 Br4 O12'
_symmetry_space_group_name_H-M 'P 4/n m m'
_symmetry_Int_Tables_number 129
_cell_length_a 3.9260
_cell_length_b 3.9260
_cell_length_c 27.9368
_cell_angle_alpha 90.00
_cell_angle_beta 90.00
_cell_angle_gamma 90.00
loop_
_symmetry_equiv_pos_as_xyz
'x,y,z'
'-x,-y,-z'
'-y+1/2,x,z'
'y+1/2,-x,-z'
'-x+1/2,-y+1/2,z'
'x+1/2,y+1/2,-z'
'y,-x+1/2,z'
'-y,x+1/2,-z'
'x+1/2,-y,-z'
'-x+1/2,y,z'
'-y,-x,-z'
'y,x,z'
'-x,y+1/2,-z'
'x,-y+1/2,z'
'y+1/2,x+1/2,-z'
'-y+1/2,-x+1/2,z'
loop_
_atom_site_label
_atom_site_fract_x
_atom_site_fract_y
_atom_site_fract_z
_atom_site_occupancy
Nd1 0.2500 0.2500 0.0443 1
Nd2 0.2500 0.2500 0.7111 1
Te1 0.2500 0.2500 0.2072 1
Te2 0.2500 0.2500 0.3806 1
Br1 0.2500 0.2500 0.5559 1
Br2 0.2500 0.2500 0.8961 1
O1 0.2500 0.2500 0.2786 1
O2 0.2500 0.7500 0.0000 1
O3 0.2500 0.7500 0.2248 1
____________

•   On the basis of these works, know the characteristics of some of the major movements and genres of art produced during the period, including Rococo, 'modern moral painting', Neoclassicism, Romanticism, Realism, caricature, picturesque and sublime landscape painting, Academic art, Regional Naturalism, Orientalism, the Pre-Raphaelites, early photography, Aestheticism, and Impressionism.

•   Understand and be able to articulate the close relationship between art and its historical context:  for example, between Neoclassicism and the democratic revolutions of the late-eighteenth century; between Realism and the social and political upheaval caused by industrialization; between Orientalist art and European colonialism; and between Impressionism and new scientific understandings of light and vision.

•   Understand and be able to articulate the diverse roles that art has played in society, from state propaganda to social criticism; objective documentation to subjective expression; and spiritual transcendence to sensual indulgence.

•   Have the basic tools of visual literacy, including an ability to analyze, using appropriate vocabulary, how works of art communicate or express meanings through the artist’s careful choices of subject-matter and form.

Textbook, resources, and structure of the class

The text for the course, Petra ten-Doesschate Chu, Nineteenth-Century European Art, is unfortunately out of print, but you can find used copies online, and scans of the relevant sections will be available on the course website (see the study-guide links above), along with some brief supplementary primary and secondary source readings and occasional videos.  The study-guides for the exams that consist of a complete set of images to know, a list of people, terms, and concepts, a summary of the key points for each lecture, and some guiding questions to help you study.

Readings and videos should be done before the relevant class meeting. Short (1-page) reading questions will be assigned to help promote class discussion. During class, I strongly recommend that you take thorough notes; this is the best way to stay focussed in class and help you prepare for the exams. At the beginning of each class period we will have a brief recap of the prior topic — review your notes beforehand in relation to the study-guides on the course website and come with questions.